• Exercise:
Repeat the lines below up to the one that holds "-2.05 1.33", that line included.

• Excerpt:
C10H13N2P | ωB97M-V with the def2-TZVPD basis set

Each line ends with the Mulliken charge.
Cartesian coordinates (Å):
C -0.58 -2.11 2.76  -0.2508
C -0.58 -2.77 1.58  -0.5545
C -0.25 -0.71 2.84  -0.7468
C -0.30 -2.10 0.43  -0.3098
C -0.21 -0.02 1.61  0.0011
C -0.22 -0.72 0.41  0.4994
C 1.30 2.83 -0.08  -0.3076
C 0.16 0.08 -0.83  -0.2157
C 2.13 0.68 -2.13  -0.7803
C -2.10 0.95 -1.25  -0.9825
N 1.52 0.35 -0.84  -0.4543
N -0.70 1.23 -1.04  0.2631
P -0.30 2.74 -0.40  -0.2431
H -0.94 -2.69 3.73  0.2158
H -0.69 -3.82 1.54  0.4145
H -0.03 -0.16 3.69  0.4668
H -0.27 -2.68 -0.52  0.2190
H -0.27 1.07 1.59  0.0200
H 2.20 3.41 -0.05  0.4716
H 0.11 -0.55 -1.79  0.4003
H 1.61 0.43 -3.02  0.3412
H 2.49 1.76 -2.09  0.2536
H 3.10 0.07 -2.24  0.2954
H -2.23 0.96 -2.44  0.2529
H -2.27 0.03 -0.76  0.3544
H -2.69 1.73 -0.73  0.3762

The largest force on an atom comes out at 0.0888 hartree/bohr. The orbital gap (alpha / beta) is 0.2922 / 0.2935 hartree. Its LUMO energy (alpha / beta) is -0.24 / -0.27 eV. Its HOMO energy (alpha / beta) is -8.2 / -8.3 eV.

=====

C7H17OP | ωB97M-V with the def2-TZVPD basis set

Each line ends with the Mulliken charge.
Cartesian coordinates (Å):
C -2.29 -0.36 0.40  -1.3379
C 0.85 0.86 1.39  -1.1437
C 3.19 -1.92 -0.42  -1.2161
C -2.72 0.88 -0.25  0.0369
C 1.43 0.87 -0.04  -0.5123
C 1.71 -1.96 -0.71  -0.4272
C -3.72 1.63 0.20  -0.0111
O -4.28 2.76 -0.29  -0.4417
P 0.95 -0.38 -1.25  -0.0903
H -1.68 -0.21 1.26  0.2897
H -3.04 -0.99 0.71  0.5217
H -1.56 -0.84 -0.26  0.1969
H -0.19 1.17 1.47  0.1701
H 0.98 -0.17 1.68  0.2818
H 1.42 1.54 1.86  0.4635
H 3.79 -1.85 -1.39  0.2662
H 3.63 -1.19 0.26  0.3158
H 3.48 -2.78 0.14  0.4012
H 1.87 0.18 -2.16  0.0303
H -2.05 1.33 -1.02  0.1657
H 2.46 0.67 0.13  0.4434
H 1.17 1.78 -0.66  0.3444
H 1.19 -2.36 0.19  0.2725
H 1.37 -2.80 -1.37  0.4315
H -4.13 1.39 1.24  0.2733
H -3.84 2.74 -1.09  0.2755

The largest force on an atom comes out at 0.0791 hartree/bohr. The orbital gap is 0.3447 hartree. Its LUMO energy is 0.95 eV. Its HOMO energy is -8.4 eV. The SMILES is C/C=C/O.CCPCC.

=====

C4H8NO2 | ωB97M-V with the def2-TZVPD basis set

Each line ends with the Mulliken charge.
Cartesian coordinates (Å):
C 0.01 -1.69 -0.43  -0.9092
C 0.10 -0.36 -1.38  0.5817
C -0.86 0.79 -1.08  -1.2485
N -0.39 -1.39 -2.07  -0.7014
C 0.81 1.32 2.48  -0.1528

• Response:
C10H13N2P | ωB97M-V with the def2-TZVPD basis set

Each line ends with the Mulliken charge.
Cartesian coordinates (Å):
C -0.58 -2.11 2.76  -0.2508
C -0.58 -2.77 1.58  -0.5545
C -0.25 -0.71 2.84  -0.7468
C -0.30 -2.10 0.43  -0.3098
C -0.21 -0.02 1.61  0.0011
C -0.22 -0.72 0.41  0.4994
C 1.30 2.83 -0.08  -0.3076
C 0.16 0.08 -0.83  -0.2157
C 2.13 0.68 -2.13  -0.7803
C -2.10 0.95 -1.25  -0.9825
N 1.52 0.35 -0.84  -0.4543
N -0.70 1.23 -1.04  0.2631
P -0.30 2.74 -0.40  -0.2431
H -0.94 -2.69 3.73  0.2158
H -0.69 -3.82 1.54  0.4145
H -0.03 -0.16 3.69  0.4668
H -0.27 -2.68 -0.52  0.2190
H -0.27 1.07 1.59  0.0200
H 2.20 3.41 -0.05  0.4716
H 0.11 -0.55 -1.79  0.4003
H 1.61 0.43 -3.02  0.3412
H 2.49 1.76 -2.09  0.2536
H 3.10 0.07 -2.24  0.2954
H -2.23 0.96 -2.44  0.2529
H -2.27 0.03 -0.76  0.3544
H -2.69 1.73 -0.73  0.3762

The largest force on an atom comes out at 0.0888 hartree/bohr. The orbital gap (alpha / beta) is 0.2922 / 0.2935 hartree. Its LUMO energy (alpha / beta) is -0.24 / -0.27 eV. Its HOMO energy (alpha / beta) is -8.2 / -8.3 eV.

=====

C7H17OP | ωB97M-V with the def2-TZVPD basis set

Each line ends with the Mulliken charge.
Cartesian coordinates (Å):
C -2.29 -0.36 0.40  -1.3379
C 0.85 0.86 1.39  -1.1437
C 3.19 -1.92 -0.42  -1.2161
C -2.72 0.88 -0.25  0.0369
C 1.43 0.87 -0.04  -0.5123
C 1.71 -1.96 -0.71  -0.4272
C -3.72 1.63 0.20  -0.0111
O -4.28 2.76 -0.29  -0.4417
P 0.95 -0.38 -1.25  -0.0903
H -1.68 -0.21 1.26  0.2897
H -3.04 -0.99 0.71  0.5217
H -1.56 -0.84 -0.26  0.1969
H -0.19 1.17 1.47  0.1701
H 0.98 -0.17 1.68  0.2818
H 1.42 1.54 1.86  0.4635
H 3.79 -1.85 -1.39  0.2662
H 3.63 -1.19 0.26  0.3158
H 3.48 -2.78 0.14  0.4012
H 1.87 0.18 -2.16  0.0303
H -2.05 1.33 -1.02  0.1657